Corporate Law : Understand the applicability, compliance, penalties, and best practices of the POSH Act for Private Limited Companies in India wit...
CA, CS, CMA : Check the December 2024 due date calendar for various tax and compliance obligations, including GST, Income Tax, ESI, and Providen...
Company Law : Understand stamp duty rules on share transfers in demat form for private limited companies. Covers legal framework, rates, respons...
Income Tax : Convert your company into an LLP before 31st March 2025 to carry forward business losses for 8 years. Act now before the tax benef...
Company Law : MCA clarifies demat rules for Non-Small Private Companies, including ISIN delays and share allotment procedures. Compliance requir...
Corporate Law : Ministry of Housing & Urban Affairs Scheme of Special Micro-Credit Facility launched for Street Vendors – Striving towar...
Company Law : In this flash editorial author discusses the provisions of liability of directors after strike off of Company or winding up of Com...
Company Law : Article discusses Time Period for Filing of Appeal in National Company Law Appellate Tribunal (NCLAT) against the order of adjudic...
Corporate Law : In this editorial author discusses Judgment National Company Law Appellate Tribunal (NCLAT) in the case of Steamline Industries L...
Corporate Law : The 'I&B Code' is a complete Code by itself. The provision of the Power of Attorney Act, 1882 cannot override the specific provisi...
Corporate Law : Whether Corporate Debtor can bar the NCLT to accept the petition of Operational Creditor by raising a dispute on the Demand Notice...
The Ministry had set-up a Committee on 16th September, 2015 to examine and recommend matter for inclusion in the statement to be attached with Auditor’s Report under Section 143(11) of the Companies Act, 2013 for the financial year 2015-16 onwards. The said Committee has since made recommendations in the matter.
Provision: As per Section 123(5) of Companies Act, 2013 Dividend not be payable except in cash. Dividend: Section 2(35) of the Companies Act, 2013 simply states that “Dividend Includes Any Interim Dividend”. Thus, the definition of dividend under the Companies Act is an inclusive definition.
In case the Limited Liability Partnership (LLP) wants to close down its business or where it is not carrying on any business operations for the period of one year or more, , it can make an application to the Registrar of Companies for declaring the company as defunct and removing the name of the LLP from […]
[1]Financial fraud is a phenomenon that haunts everyone alike. Not only does it mean loss of an asset for the one who has been at the receiving end of a fraud, it has the capability of shaking the roots of “confidence” and “trust” that anchor a society and/or an economy. Governments and other policy makers […]
As per Law, there is no compulsion for Private Company to appoint MD, WTD and Manager. As per Act Private Company can continue working without MD, WTD and manager throughout the life of company. But if Private company appoints any Managerial Personnel willingly. Then company requires to follow Section: 196 of Companies Act, 2013.
As we are aware that on 1stFebruary 2016, Ministry of Corporate Affairs uploaded the report of Companies Law Committee on its website. In this post, we will discuss recommendations of the committee for the Directors and their meetings.
The Committee considered the suggestion for making the definition of deposit less restrictive, but felt that adequate prescriptive powers for excluding amounts received by a company from the term ‘deposit’ have been provided in the definition and no change is, therefore, required.
As we are aware that on 1st February 2016, Ministry of Corporate Affairs uploaded the report of Companies Law Committee (CLC) on its website. In this post, we will discuss recommendations of the committee related to Small Companies / Private Limited Companies. Committee recommended many more new relaxations for Small Private Companies for ease of doing […]
Here the article breaks off for materials data:
No. 1
K4Ge2Au7 | GGA-PBE | optimized geometry

Unit cell a=10.250 b=10.250 c=10.250 alpha=37.63 beta=37.63 gamma=37.63
Element x y z (fractional)
K 0.683 0.683 0.683
K 0.317 0.317 0.317
K 0.811 0.811 0.811
K 0.189 0.189 0.189
Ge 0.545 0.545 0.545
Ge 0.455 0.455 0.455
Au 0.000 0.000 0.000
Au 0.223 0.223 0.795
Au 0.795 0.223 0.223
Au 0.223 0.795 0.223
Au 0.777 0.205 0.777
Au 0.777 0.777 0.205
Au 0.205 0.777 0.777


No. 2
K2InAsCl6 | GGA-PBE | optimized geometry

Summary:
corrected total energy (MP2020 scheme): -3.633 eV/atom

Unit cell a=7.677 b=7.677 c=7.677 alpha=60.00 beta=60.00 gamma=60.00
Element x y z (fractional)
K 0.750 0.750 0.750
K 0.250 0.250 0.250
In 0.500 0.500 0.500
As 0.000 0.000 0.000
Cl 0.767 0.233 0.233
Cl 0.233 0.233 0.767
Cl 0.233 0.767 0.767
Cl 0.233 0.767 0.233
Cl 0.767 0.233 0.767
Cl 0.767 0.767 0.233


No. 3
Np2N3 | GGA-PBE | optimized geometry

Summary:
corrected total energy (MP2020 scheme): -11.560 eV/atom

Unit cell a=9.168 b=9.168 c=9.168 alpha=109.47 beta=109.47 gamma=109.47
Element x y z (fractional)
Np 0.500 0.000 0.500
Np 0.500 0.500 0.000
Np 0.000 0.500 0.500
Np 0.000 0.000 0.000
Np 0.774 0.250 0.024
Np 0.726 0.750 0.476
Np 0.250 0.024 0.774
Np 0.750 0.476 0.726
Np 0.024 0.774 0.250
Np 0.476 0.726 0.750
Np 0.226 0.750 0.976
Np 0.274 0.250 0.524
Np 0.750 0.976 0.226
Np 0.250 0.524 0.274
Np 0.976 0.226 0.750
Np 0.524 0.274 0.250
N 0.497 0.234 0.470
N 0.237 0.266 0.763
N 0.003 0.473 0.737
N 0.263 0.027 0.030
N 0.234 0.470 0.497
N 0.266 0.763 0.237
N 0.473 0.737 0.003
N 0.027 0.030 0.263
N 0.470 0.497 0.234
N 0.763 0.237 0.266
N 0.737 0.003 0.473
N 0.030 0.263 0.027
N 0.503 0.766 0.530
N 0.763 0.734 0.237
N 0.997 0.527 0.263
N 0.737 0.973 0.970
N 0.766 0.530 0.503
N 0.734 0.237 0.763
N 0.527 0.263 0.997
N 0.973 0.970 0.737
N 0.530 0.503 0.766
N 0.237 0.763 0.734
N 0.263 0.997 0.527
N 0.970 0.737 0.973


No. 4
SrZn5 | GGA-PBE | optimized geometry

Unit cell a=5.232 b=6.862 c=13.167 alpha=90.00 beta=90.00 gamma=90.00
Element x y z (fractional)
Sr 0.250 0.647 0.911
Sr 0.250 0.853 0.411
Sr 0.750 0.353 0.089
Sr 0.750 0.147 0.589
Zn 0.250 0.339 0.714
Zn 0.250 0.161 0.214
Zn 0.750 0.661 0.286
Zn 0.750 0.839 0.786
Zn 0.250 0.958 0.706
Zn 0.250 0.542 0.206
Zn 0.750 0.042 0.294
Zn 0.750 0.458 0.794
Zn 0.998 0.153 0.857
Zn 0.502 0.347 0.357
Zn 0.498 0.847 0.143
Zn 0.002 0.653 0.643
Zn 0.002 0.847 0.143
Zn 0.498 0.653 0.643
Zn 0.502 0.153 0.857
Zn 0.998 0.347 0.357
Zn 0.250 0.406 0.522
Zn 0.250 0.094 0.022
Zn 0.750 0.594 0.478
Zn 0.750 0.906 0.978


No. 5
TiZn2IrO6 | GGA-PBE | optimized geometry

Summary:
corrected total energy (MP2020 scheme): -6.887 eV/atom

Unit cell a=5.241 b=5.222 c=9.237 alpha=55.88 beta=90.00 gamma=90.00
Element x y z (fractional)
Ti 0.500 0.000 0.000
Ti 0.000 0.000 0.500
Zn 0.968 0.255 0.751
Zn 0.468 0.745 0.749
Zn 0.532 0.255 0.251
Zn 0.032 0.745 0.249
Ir 0.500 0.500 0.500
Ir 0.000 0.500 0.000
O 0.421 0.633 0.250
O 0.182 0.891 0.936
O 0.175 0.259 0.563
O 0.675 0.741 0.937
O 0.682 0.109 0.564
So much for the materials data:
Associate company in relation to another company, means a company in which that other company has a significant influence, but which is not a subsidiary company of the company having such influence and includes a joint venture company.
To amend 4(1)(C) to allow companies to have an option to have a more generic object clause, i.e. ‘to enlarge in any lawful act or activity or business as per the law for the the time being in force’ in the MOA